
Firewood Consumption and Forest Degradation in Himalayan states: A Review of Research Gaps

| May 4, 2021

The usage and dependence on firewood is more prominent in the Indian Himalayan region due to the additional requirements of room and water heating throughout the year

Road to contain climate change

| May 3, 2021

Roads and railways bind a nation and bring people together. They facilitate the achievement of SDGs, as without adequate mobility, SDGs cannot be achieved and sustained.

Influence of Electricity Access on Gender: Evidences from Nepal

Research Paper
| May 3, 2021

Access to modern energy has been found to especially benefit rural women, in terms of reducing their drudgery and increasing their efficiency of time use. This paper draws from the findings of a primary household survey and qualitative study in Nepal in order to analyse how access to modern energy affects gendered aspects of health, education, income generation, and decision-making. It was found that a higher percentage of children (boys and girls) from households with electricity access were enrolled in schools and spent more hours studying.

Refurbishing Plastic for Climate Action: The First Steps

Crystal structures that have nothing to do with the piece:
=====
Record 1
Calculated powder diffractogram
Compound: Na2LiAuF6
Radiation: CuKα
Structure: a structure optimized by DFT (GGA-PBE)
No peak broadening, texture or thermal motion is included.

Main lines, sorted by position (10° ≤ 2θ ≤ 90°):
2θ/deg	d (Å)	intensity
18.68	4.749	100
21.61	4.113	60
30.74	2.908	60
36.22	2.480	66
44.04	2.056	33
48.23	1.887	32
49.56	1.839	26
54.66	1.679	25
58.29	1.583	21
67.35	1.390	21

Cell and atoms:
Cell: 5.816 5.816 5.816 Å, 60.00 60.00 60.00°
Atoms (fractional coordinates):
Na: 0.250 0.250 0.250
Na: 0.750 0.750 0.750
Li: 0.000 0.000 0.000
Au: 0.500 0.500 0.500
F: 0.242 0.242 0.758
F: 0.242 0.758 0.242
F: 0.242 0.758 0.758
F: 0.758 0.242 0.242
F: 0.758 0.242 0.758
F: 0.758 0.758 0.242


Record 2
Calculated powder diffractogram
Compound: Na2PdAuF6
Radiation: CuKα
Structure: a structure optimized by DFT (GGA-PBE)
No peak broadening, texture or thermal motion is included.

Main lines, sorted by position (10° ≤ 2θ ≤ 90°):
2θ/deg	d (Å)	intensity
17.58	5.044	12
20.33	4.368	100
28.91	3.089	95
41.34	2.184	40
46.49	1.953	45
51.23	1.783	40
59.90	1.544	25
63.94	1.456	21
67.85	1.381	18
82.66	1.167	21

Cell and atoms:
Cell: 6.177 6.177 6.177 Å, 60.00 60.00 60.00°
Atoms (fractional coordinates):
Na: 0.250 0.250 0.250
Na: 0.750 0.750 0.750
Pd: 0.000 0.000 0.000
Au: 0.500 0.500 0.500
F: 0.240 0.240 0.760
F: 0.240 0.760 0.240
F: 0.240 0.760 0.760
F: 0.760 0.240 0.240
F: 0.760 0.240 0.760
F: 0.760 0.760 0.240
=====
Here the piece continues:

| April 13, 2021

In view of the growing plastic waste crisis and India's commitment to lower the emissions intensity of its GDP by 33-35% by 2030, the article discusses TERI's roadmap for bringing resource efficiency and circularity to the plastic value chain in India

Restore Our Earth: Not a Luxury But a Necessity

| April 13, 2021

Earth Day is an annual event celebrated around the world on April 22 to demonstrate support for environmental protection. In this article, Arpita Dasgupta points out that the COVID-19 pandemic is, in fact, a red flag pointing to an imbalance in our natural systems. It is a sign of a planet in disharmony. So, there is only one way forward—restoring what is lost to bring back a sense of equilibrium. This is the reason why the theme for Earth Day 2021 is 'Restore Our Earth'. She also stresses that environmental and climate literacy is the foundation for an equitable and sustainable society.

हवा से पानी बनाने की मशीन - बुझा सकती है गाँव की प्यास

| April 9, 2021

देश में पानी की कमी को हल करने के लिए जल संरक्षण की पारंपरिक समझ को आधुनिक तकनीकी विकास और क्षमता के साथ मिलाने की ज़रूरत है। ‘एयर टू वाटर’ तकनीक दूरदराज और साथ ही दूषित पानी की समस्या झेल रहे क्षेत्रों के लिए पानी की आपूर्ति के अवसर देती है।

पानी की बचत और संरक्षण की दिशा में चार अहम कदम

| April 7, 2021

जल संरक्षण के प्रयास या वर्षा जल संचयन के प्रयास स्थानीय स्तर पर होने चाहिए और स्थानीय प्रयासों के बिना जल संरक्षण के प्रयास व्यापक अभियान का रूप नहीं ले सकेंगें पानी के पुनर्चक्रण और पुन: उपयोग को अपनाया जाना चाहिए। ट्रीटमेंट के तरीकों में प्राकृतिक उपचार प्रणाली को शामिल किया जाना चाहिए गैर सरकारी संगठनों, स्थानीय निकायों और व्यक्तियों को स्थानीय पंचायतों के साथ गहनता से जल संरक्षण के काम में शामिल किया जाना चाहिए जल प्रबंधकों और नीति निर्माताओं को जल प्रबंधन प्रशिक्षण दिया जाना

Air Pollution in India: Major Issues and Challenges

| April 5, 2021

This article foregrounds the challenges India is currently facing in reducing air pollution and bringing the level of air quality to a certain standard. It also discusses solutions that could be adopted to combat the national crisis.

A method of wet algal lipid recovery for biofuel production

Research Paper
| March 26, 2021

Drying of algae is resource-intensive (land, energy) for biofuel production. A method to recover lipids from wet algae has been developed at lab scale. The method is based on introduction of polar solvent first into wet algae to replace the water inside the cells, followed by gradual introduction of non-polar solvent to replace the polar solvent and thus extract lipids.

• Someone pasted materials data at this point:
........
[1]
Diffraction record for Al3Cr2Fe3. The powder X-ray diffraction pattern is theoretical, not measured: it uses DFT lattice parameters and positions (PBE) and Cu Kα.

Top 6 peaks for 10° ≤ 2θ ≤ 80°, in order of rising 2θ:
hkl	Position (°2θ)	d (Å)	Rel. int.
0 1 3	27.55	3.238	15
0 0 8	44.19	2.050	25
1 1 4	44.82	2.022	100
0 2 0	45.12	2.010	25
0 2 8	64.99	1.435	14
2 0 0	65.50	1.425	7

Atomic structure:
```
data_Al3Cr2Fe3
_space_group_name_H-M_alt 'I m m m'
_space_group_IT_number 71
_space_group_name_Hall '-I 2 2'
_cell_length_a 2.850
_cell_length_b 4.019
_cell_length_c 16.396
_cell_angle_alpha 90.00
_cell_angle_beta 90.00
_cell_angle_gamma 90.00
loop_
_atom_site_label
_atom_site_type_symbol
_atom_site_fract_x
_atom_site_fract_y
_atom_site_fract_z
Al1 Al 0.000 0.000 0.000
Al2 Al 0.000 0.500 0.123
Cr1 Cr 0.000 0.000 0.243
Fe1 Fe 0.000 0.000 0.500
Fe2 Fe 0.000 0.500 0.371
```



[2]
Diffraction record for Y8Te3P3S. The powder X-ray diffraction pattern is theoretical, not measured: it uses DFT lattice parameters and positions (PBE) and Cu Kα.

Top 6 peaks for 10° ≤ 2θ ≤ 80°, in order of rising 2θ:
hkl	Position (°2θ)	d (Å)	Rel. int.
0 2 4	30.56	2.925	100
2 0 5	33.20	2.699	16
2 0 8	43.00	2.104	32
2 2 0	44.52	2.035	36
4 0 4	54.96	1.671	18
2 4 4	73.32	1.291	15

Atomic structure:
```
data_Y8Te3P3S
_space_group_name_H-M_alt 'R -3 m'
_space_group_IT_number 166
_space_group_name_Hall '-R 3 2"'
_cell_length_a 8.1402
_cell_length_b 8.1402
_cell_length_c 20.9737
_cell_angle_alpha 90.00
_cell_angle_beta 90.00
_cell_angle_gamma 120.00
loop_
_atom_site_label
_atom_site_type_symbol
_atom_site_fract_x
_atom_site_fract_y
_atom_site_fract_z
Y1 Y 0.0000 0.0000 0.2358
Y2 Y 0.0055 0.5027 0.7620
Te1 Te 0.0000 0.5000 0.0000
P1 P 0.0000 0.5000 0.5000
S1 S 0.0000 0.0000 0.5000
```



[3]
Diffraction record for KSe2Br. The powder X-ray diffraction pattern is theoretical, not measured: it uses DFT lattice parameters and positions (PBE) and Cu Kα.

Top 6 peaks for 10° ≤ 2θ ≤ 80°, in order of rising 2θ:
hkl	Position (°2θ)	d (Å)	Rel. int.
1 0 -1	20.13	4.411	72
0 0 2	23.51	3.783	100
1 1 0	28.74	3.106	39
1 1 -1	29.66	3.012	41
1 1 1	32.53	2.752	60
0 2 2	50.40	1.811	24

Atomic structure:
```
data_KSe2Br
_space_group_name_H-M_alt 'P 1 m 1'
_space_group_IT_number 6
_cell_length_a 4.815
_cell_length_b 4.124
_cell_length_c 7.715
_cell_angle_alpha 90.00
_cell_angle_beta 101.23
_cell_angle_gamma 90.00
loop_
_space_group_symop_operation_xyz
'x,y,z'
'x,-y,z'
loop_
_atom_site_label
_atom_site_type_symbol
_atom_site_fract_x
_atom_site_fract_y
_atom_site_fract_z
K1 K 0.000 0.000 0.000
Se1 Se 0.097 0.500 0.556
Se2 Se 0.845 0.000 0.471
Br1 Br 0.514 0.500 0.045
```



[4]
Diffraction record for Li2Mg4CdHg. The powder X-ray diffraction pattern is theoretical, not measured: it uses DFT lattice parameters and positions (PBE) and Cu Kα.

Top 6 peaks for 10° ≤ 2θ ≤ 80°, in order of rising 2θ:
hkl	Position (°2θ)	d (Å)	Rel. int.
0 0 2	17.37	5.107	42
1 0 0	20.57	4.318	90
1 0 2	27.04	3.297	100
........

Contextualising Blue Economy in Asia-Pacific region

Policy brief
| March 22, 2021

The share of Blue Economy in the GDP of Asia-Pacific countries goes up to as high as 87% in some island nations in the region